The point of contact (POC) document is designed to provide information and assistance to our students and faculty who are engaged in international educational opportunities. The POC provides regulatory, logistical and point-of-contact information of university offices for students and faculty to contact regarding international resources.

Accounting Services

Payroll, Payroll Tax Issues

Kacey Pennington
International Payroll Specialist


  • Handles questions related to payroll taxes and tax treaties
  • All other payroll inquiries should go to
Taxes – Business Related

Angie Leahy
Associate Vice Chancellor for Finance & Controller


  • Assists in determining if external programs or activities have tax implications for the school/university
  • Assists in the proper filings/remittances of any tax liability that may occur internationally
Taxes Expense Policy

Christopher Schaefer
Manager of Accounts Payable


  • Assists with WashU travel policy questions
  • Assists filling out reports (paper and digital) for international travel

Financial Services

International Funding

Ariel Brown
Senior Assistant Director, Student Financial Services


  • Explanation of how student’s financial assistance award can be used for abroad studies
  • Provide resources of available funds for international travel
  • Notary services for required documents for study abroad programs

Human Resources

Hiring, Benefits, Employee Agreements and Employment Issues

Sara Wright
Senior Director, HR Compliance


  • Assists with hiring, employee agreements and benefits procurement

Human Resources Protection Office

Institutional Review Board (IRB)

Cindy Brantmeier
Faculty Fellow, International Research
Office of Vice Chancellor for Research


  • Consults on regulatory requirements when conducting human subjects research outside the US prior to submitting to WashU IRB

Mitchell Saulisbury-Robertson
Assistant Director of Social Behavioral Research and Expedited Review


  • Review and approval of human subjects research protocols conducted internationally

Erin Higgs
Expedited Review Specialist


  • Review and approval of human subjects research protocols conducted internationally

Insurance and Risk Management

Medical Malpractice Coverage, Danforth Campus

Dawn Pesti
Director, Risk Management


  • Provides WashU-sponsored medical practice coverage for students or faculty when traveling internationally
Medical Malpractice Coverage, Medical Campus

Lynn Haigler
Director of Insurance & Risk Management


  • Provides WashU-sponsored medical practice coverage for students or faculty when traveling internationally

Office for International Student Engagement

Orientation, programming, Community engagement

Evelyn Real
Director, Office for International Student Engagement


  • Assists with international student programming, advocacy and cultural enrichment

Office for International Students & Scholars (OISS)

immigration sponsorship & advisement

Geet Vanaik
Executive Director


  • University wide immigration compliance for international students, scholars and employees.
OISS advising

Office Contact


  • OISS team of advisers supports international students and scholars with regard to immigration status, immigration documents, work authorization, and more. See the Find my OISS Adviser resource for current adviser assignments.

Office of the University Registrar

Verifying Enrollment, Degree and Credits, Danforth Campus

Keri Disch
University Registrar


  • Verification point for enrollment and degrees
  • Administrator for student records, data and systems, primarily maintained in SIS (Student Information System)
Verifying Enrollment, Degree and Credits, Medical Campus

Michael Donlan
Assistant Dean of Academic Affairs


  • Verification point for enrollment and degrees

Office of the Vice Chancellor for Research

Research Topics

Melanie Roewe
Associate Vice Chancellor for Research Development & Contracts


  • Responsible for university-wide research policies, procedures, operations, support infrastructure and educational programs
  • Serves as a resource for institutional strategic research planning and development
Export Controls

Hollie Noia
Manager, Research, Compliance & Integrity


  • Advises faculty/employees if WashU-owned equipment is controlled for export to the proposed country of destination
  • Advises faculty/employees if the contents of any proposed presentation abroad would violate the export control laws
  • Advises faculty/employees if WashU-generated data/research results is controlled for export to the proposed country of destination
  • Screens individuals and institutions for presence on restricted party lists
Sponsored Projects – Accounting

Joseph Gindhart
Assistant Vice Chancellor & Director, Sponsored Projects Accounting


  • Compliance with Fly America Act (required use of US Flag air carriers)
  • Provides assistance in determining allowability, allocability and reasonableness of international travel
  • Proper documentation of international travel (receipts, foreign exchange rates, etc.)

Resource Management

Purchasing Abroad

Christopher Doyle
Associate Director of Resource Management


  • Assists travelers who encounter travel-related issues with contracted airlines/hotels
  • Maintains WashU procurement conflict of interest policy relating to faculty/staff travelers

Angela Lochmann
Senior Contract Management Liaison


  • Provides assistance in arranging for shipping packages as imports/exports

Student Health Services

Student Health Issues, Danforth Campus

Habif Health and Wellness Center


  • Provides medical services, including evaluation/treatment of illness and injuries as well as preventative care
  • Oversees mental health services and assists students in resolving personal and interpersonal difficulties
  • Provides health promotion services program regarding information on issues and topics affecting academic success
Student Health Issues, Medical Campus

Karen Winters, MD
Professor of Medicine


  • Meets with students (medical students only) to complete health screening at least one month prior to international travel
Student Health Insurance, Danforth

Habif Health and Wellness Center


  • Offers affordable medical insurance plan
  • Confirms current student health insurance plans for all full-time, degree-seeking students
Student Health Insurance, Medical

Office of Student Health Service


  • Confirms immunizations are up to date before traveling abroad
  • Provides necessary medications and counseling before international travel

____________
i | Compound: Ta2TeCl
Source: the Alexandria database
Functional: PBE
Structure: optimized geometry

## Properties
- D(E_F) (states/eV per cell) = 6.9
- crystal system = tetragonal

abc: 4.4271 4.4271 8.0447
angles: 90.00 90.00 90.00
Closest atoms and distances in Å follow each position.
Element x y z (fractional)
Ta 0.0000 0.0000 0.0000  4 Ta 2.99, 4 Te 2.99, 4 Cl 3.13
Ta 0.0000 0.5000 0.2500  4 Ta 2.99, 4 Cl 2.99, 4 Te 3.13
Ta 0.5000 0.0000 0.7500  4 Ta 2.99, 4 Cl 2.99, 4 Te 3.13
Ta 0.5000 0.5000 0.5000  4 Ta 2.99, 4 Te 2.99, 4 Cl 3.13
Te 0.0000 0.5000 0.7500  8 Ta 2.99-3.13, 4 Cl 2.99
Te 0.5000 0.0000 0.2500  8 Ta 2.99-3.13, 4 Cl 2.99
Cl 0.0000 0.0000 0.5000  8 Ta 2.99-3.13, 4 Te 2.99
Cl 0.5000 0.5000 0.0000  8 Ta 2.99-3.13, 4 Te 2.99

ii | Compound: Ta2TeCl
Source: the Alexandria database
Functional: PBE
Structure: optimized geometry

## Properties
- D(E_F) (states/eV per cell) = 4.4
- crystal system = orthorhombic

abc: 3.5981 5.0390 10.1213
angles: 90.00 90.00 90.00
Closest atoms and distances in Å follow each position.
Element x y z (fractional)
Ta 0.0000 0.0000 0.0000  6 Ta 2.78-3.10, 2 Te 2.87
Ta 0.0000 0.5000 0.2090  2 Cl 2.62, 2 Ta 2.78
Ta 0.5000 0.0000 0.2090  2 Cl 2.62, 2 Ta 2.78
Ta 0.5000 0.5000 0.0000  6 Ta 2.78-3.10, 2 Te 2.87
Te 0.0000 0.5000 0.7794  2 Ta 2.87, 4 Te 3.10
Te 0.5000 0.0000 0.7794  2 Ta 2.87, 4 Te 3.10
Cl 0.0000 0.0000 0.3968  2 Ta 2.62
Cl 0.5000 0.5000 0.3968  2 Ta 2.62

iii | Compound: Ta2TeCl
Source: the Alexandria database
Functional: PBE
Structure: optimized geometry

## Properties
- D(E_F) (states/eV per cell) = 27.7
- crystal system = cubic

abc: 6.6648 6.6648 6.6648
angles: 90.00 90.00 90.00
Closest atoms and distances in Å follow each position.
Element x y z (fractional)
Ta 0.2500 0.2500 0.2500  4 Cl 2.89, 4 Te 2.89
Ta 0.2500 0.2500 0.7500  4 Cl 2.89, 4 Te 2.89
Ta 0.2500 0.7500 0.2500  4 Cl 2.89, 4 Te 2.89
Ta 0.2500 0.7500 0.7500  4 Cl 2.89, 4 Te 2.89
Ta 0.7500 0.2500 0.2500  4 Cl 2.89, 4 Te 2.89
Ta 0.7500 0.2500 0.7500  4 Cl 2.89, 4 Te 2.89
Ta 0.7500 0.7500 0.2500  4 Cl 2.89, 4 Te 2.89
Ta 0.7500 0.7500 0.7500  4 Cl 2.89, 4 Te 2.89
Te 0.0000 0.0000 0.0000  8 Ta 2.89
Te 0.0000 0.5000 0.5000  8 Ta 2.89
Te 0.5000 0.0000 0.5000  8 Ta 2.89
Te 0.5000 0.5000 0.0000  8 Ta 2.89
Cl 0.0000 0.0000 0.5000  8 Ta 2.89
Cl 0.0000 0.5000 0.0000  8 Ta 2.89
Cl 0.5000 0.0000 0.0000  8 Ta 2.89
Cl 0.5000 0.5000 0.5000  8 Ta 2.89

iv | Compound: Ta2TeCl
Source: the Alexandria database
Functional: PBE
Structure: optimized geometry

## Properties
- D(E_F) (states/eV per cell) = 4.5
- crystal system = monoclinic

abc: 8.9132 3.1948 5.4896
angles: 90.00 103.09 90.00
Closest atoms and distances in Å follow each position.
Element x y z (fractional)
Ta 0.2452 0.0000 0.2451  3 Cl 2.79-2.89, 3 Te 2.85-2.87
Ta 0.2548 0.5000 0.7549  3 Cl 2.79-2.89, 3 Te 2.85-2.87
Ta 0.7452 0.5000 0.2451  3 Cl 2.79-2.89, 3 Te 2.85-2.87
Ta 0.7548 0.0000 0.7549  3 Cl 2.79-2.89, 3 Te 2.85-2.87
Te 0.0000 0.0000 0.5000  6 Ta 2.85-2.87, 4 Cl 3.18
____________

The Graduate Center

graduate and professional student resources across all schools

Jessica Klingler Cissell
Director of Graduate Programming and The Graduate Center


  • Provides a centrally-located hub for graduate and professional students
  • Encourages students to foster a sense of interdisciplinary thinking among their peers. 
  • Empowers students to develop and practice leadership skills

Treasury Services

Bank Accounts, Foreign Currency, Foreign Financial Institutions, Wire Transfers

Amye Kim
Associate Vice Chancellor for Finance & Treasurer


  • Assists departments with coordinating international transfers of funds transfers and working with foreign financial institutions
  • Provides information on access and use of foreign currency
  • Evaluates requests for any university-associated foreign bank accounts
  • Advises on currency hedging alternatives and possibilities

[Attached: records of crystals]
-- begin --
Entry 1:
# BeSiMo2 (PBE-GGA, relaxed)
# Energy above the most stable polymorph in this dataset in kJ/mol of formula units: 116.8
# Crystal system: tetragonal
# Electronic total energy in eV/atom: -7.686
# Magnetic moment in μB per formula unit: 0.00
data_BeSiMo2
_chemical_formula_sum 'Be2 Si2 Mo4'
_cell_length_a 3.981
_cell_length_b 3.981
_cell_length_c 6.692
_cell_angle_alpha 90.00
_cell_angle_beta 90.00
_cell_angle_gamma 90.00
_symmetry_space_group_name_H-M 'I 4/m m m'
_symmetry_Int_Tables_number 139
_symmetry_space_group_name_Hall '-I 4 2'
loop_
_atom_site_label
_atom_site_type_symbol
_atom_site_fract_x
_atom_site_fract_y
_atom_site_fract_z
Be1 Be 0.000 0.000 0.000
Si1 Si 0.000 0.000 0.500
Mo1 Mo 0.000 0.500 0.250

---

Entry 2:
# BeSi2Mo (PBE-GGA, relaxed)
# Energy above the most stable polymorph in this dataset in kJ/mol of formula units: 184.3
# Crystal system: trigonal
# Electronic total energy in eV/atom: -6.053
# Magnetic moment in μB per formula unit: 0.00
data_BeSi2Mo
_chemical_formula_sum 'Be3 Si6 Mo3'
_cell_length_a 2.8899
_cell_length_b 2.8899
_cell_length_c 22.3965
_cell_angle_alpha 90.00
_cell_angle_beta 90.00
_cell_angle_gamma 120.00
_symmetry_space_group_name_H-M 'R 3 m'
_symmetry_Int_Tables_number 160
_symmetry_space_group_name_Hall 'R 3 -2"'
loop_
_atom_site_label
_atom_site_type_symbol
_atom_site_fract_x
_atom_site_fract_y
_atom_site_fract_z
Be1 Be 0.0000 0.0000 0.0000
Si1 Si 0.0000 0.0000 0.4915
Si2 Si 0.0000 0.0000 0.7401
Mo1 Mo 0.0000 0.0000 0.2471

---

Entry 3:
# BeSi2Mo (PBE-GGA, relaxed)
# Energy above the most stable polymorph in this dataset in kJ/mol of formula units: 14.8
# Crystal system: tetragonal
# Electronic total energy in eV/atom: -6.493
# Magnetic moment in μB per formula unit: 0.00
data_BeSi2Mo
_chemical_formula_sum 'Be1 Si2 Mo1'
_cell_length_a 3.194
_cell_length_b 3.194
_cell_length_c 5.013
_cell_angle_alpha 90.00
_cell_angle_beta 90.00
_cell_angle_gamma 90.00
_symmetry_space_group_name_H-M 'P 4/m m m'
_symmetry_Int_Tables_number 123
_symmetry_space_group_name_Hall '-P 4 2'
loop_
_atom_site_label
_atom_site_type_symbol
_atom_site_fract_x
_atom_site_fract_y
_atom_site_fract_z
Be1 Be 0.000 0.000 0.000
Si1 Si 0.500 0.500 0.239
Mo1 Mo 0.000 0.000 0.500

---

Entry 4:
# BeSi2Mo (PBE-GGA, relaxed)
# Energy above the most stable polymorph in this dataset in kJ/mol of formula units: 132.9
-- stop --

University Compliance Office

Internal Controls, Fraud Issues and Compliance Issues

Gail Peters
Executive Director of Compliance and Audit


  • Maintains university hotline for reporting WashU-related suspected cases of fraud, ethics violations or violations of WashU compliance
  • Maintains WashU code of conduct
  • Coordinates with and monitors the university’s area-specific compliance offices
  • Assists with questions regarding acceptance of business meals, business entertainment or gifts from vendors

University Global Travel

Travel Safety

Sara Ender
Global Travel Safety Manager


  • Provides resources for safe international travel

University Marketing & Communications

Media Relations

Susan Killenberg McGinn
Assistant Vice Chancellor for News and Media Relations


  • Provides media relations services

Washington University Schools

Arts & Sciences

Andy Wiegert
Director, Graduate Student Affairs
Graduate Studies

Amy Suelzer
Director of Overseas Programs
Undergraduate Studies/Study Abroad

# 1
Below is Al4CuAu after structural relaxation, with properties calculated at the PBE-GGA level.

The energy relative to the elements comes out at -297 meV per atom. For the volume, the calculation gives 17.4 A^3/atom. As for the energy above the most stable polymorph in this dataset: 0 meV per atom. The symmetry is P4/mmm, No. 123.

Cell: 4.149 4.149 6.051 Å, 90.00 90.01 90.00°
Atoms (fractional coordinates):
Al (0.501, 0.997, 0.732)
Al (0.001, 0.497, 0.732)
Al (0.501, 0.997, 0.264)
Al (0.001, 0.497, 0.264)
Au (0.501, 0.497, 0.998)
Cu (0.001, 0.997, 0.498)

# 2
Below is Al4Cu15Au after structural relaxation, with properties calculated at the PBE-GGA level.

The energy relative to the elements comes out at -160 meV per atom. For the volume, the calculation gives 12.7 A^3/atom. The symmetry is P4/mmm, No. 123.

Cell: 3.745 3.745 18.138 Å, 90.00 90.00 90.00°
Atoms (fractional coordinates):
Al (0.000, 0.000, 0.203)
Al (0.000, 0.000, 0.599)
Al (0.000, 0.000, 0.797)
Al (0.000, 0.000, 0.401)
Cu (0.500, 0.500, 0.205)
Cu (0.500, 0.000, 0.500)
Cu (0.000, 0.500, 0.893)
Cu (0.000, 0.500, 0.697)
Cu (0.000, 0.500, 0.500)
Cu (0.000, 0.500, 0.107)
Cu (0.500, 0.500, 0.599)
Cu (0.500, 0.000, 0.893)
Cu (0.500, 0.000, 0.303)
Cu (0.500, 0.000, 0.107)
Cu (0.500, 0.500, 0.795)
Cu (0.500, 0.500, 0.401)
Cu (0.500, 0.000, 0.697)
Cu (0.500, 0.500, 0.000)
Cu (0.000, 0.500, 0.303)
Au (0.000, 0.000, 0.000)

=====

# 1
{"formula": "LiLaMg2Ni", "functional": "PBE", "state": "optimized geometry", "cell": [[-4.7006, 0.5751, -1.2139], [0.2885, -3.8827, -2.9566], [-1.2878, -2.8608, 3.6312]], "species": ["Mg", "Mg", "Ni", "Li", "La"], "fractional_positions": [[0.5000, 0.0000, 0.0000], [0.0000, 0.5000, 0.0000], [0.0000, 0.0000, 0.0000], [0.0000, 0.0000, 0.5000], [0.5000, 0.5000, 0.5000]], "n_ef_per_ev_fu": 5.9, "sg": "No. 123", "polymorph_energy_ev_per_fu": 0.52, "dft_energy_ev_per_atom": -3.133, "e_form_mev_per_atom": 28.9}

=====

# 2
{"formula": "LiLa2MgNi", "functional": "PBE", "state": "optimized geometry", "cell": [[5.4079, 0.0000, 0.0000], [0.0000, 5.4079, 0.0000], [0.0000, 0.0000, 5.0678]], "species": ["Ni", "Li", "La", "Mg", "La"], "fractional_positions": [[0.0000, 0.0000, 0.0000], [0.5000, 0.5000, 0.5000], [0.0000, 0.5000, 0.0000], [0.0000, 0.0000, 0.5000], [0.5000, 0.0000, 0.0000]], "n_ef_per_ev_fu": 5.1, "sg": "No. 123", "polymorph_energy_ev_per_fu": 0.00, "dft_energy_ev_per_atom": -3.903, "e_form_mev_per_atom": -73.8}

=====

# 3
{"formula": "LiLaMg2Ni", "functional": "PBE", "state": "optimized geometry", "cell": [[-4.2676, -2.3395, 1.4744], [2.7458, -3.2630, 2.7701], [-0.3287, 3.1239, 4.0057]], "species": ["Li", "Ni", "Mg", "Mg", "La"], "fractional_positions": [[0.5000, 0.5000, 0.5000], [0.0000, 0.0000, 0.0000], [0.0000, 0.5000, 0.0000], [0.5000, 0.0000, 0.0000], [0.0000, 0.0000, 0.5000]], "n_ef_per_ev_fu": 3.8, "sg": "No. 123", "polymorph_energy_ev_per_fu": 0.00, "dft_energy_ev_per_atom": -3.237, "e_form_mev_per_atom": -74.3}

=====

# 4

Overseas Programs Office

Brown School

Tammy Orahood
Director, Global Programs

Lindsay Stark
Associate Dean of Global Strategy and Programs

McKelvey School of Engineering

Melanie Osborn
Senior Assistant Dean, Undergraduate Studies

Teresa Sarai
Assistant Dean for International Relations
International partnerships and research agreements

Olin Business School

Sara Stratton
Associate Director of Global Programs and Advising
Undergraduate Global Programs

Andrew Knight
Vice Dean of Education and Globalization
Graduate Global Programs & Institutional Partnerships

Sam Fox School of Design & Visual Arts

Courtney Cushard
Coordinator for Special Programs

School of Law

Rachael Johnson
International and Graduate Program Coordinator

School of Medicine

Caline Mattar, MD
Associate Professor of Medicine